Building Google Home Action in Go

📅 Mon, Apr 2, 2018 ⏱️ 5-minute read

Building Google Home Action in Go

Google Home

This is a text version of this video: packagemain #10: Building Google Home Action in Go.

Google Home is a voice Assistant, similar to Amazon Alexa, but working with Google services. It has a lot of built-in integrations, but what is interesting for us developes is that we can build our programs for it. Google call them Actions.

We will build an Action, which will help user to find an air quality index of the city user is located in. It’s not necessary to have Google Home device to be able to build and test it, Google has very nice Similuator.

Google Home Actions are using DialogFlow (previously it called to setup conversation flow using NLU. And we will build a simple backend API to get data, which we’ll deploy to Google Cloud.


We have to login with our Google Account to Go to Console and create your first project. You can choose to use existing Google Cloud project or create a new one.

We will use DialogFlow API V1, V2 is slightly different in terms of request/response format.

Now let’s decide the future user flow.

There are 2 ways to start to talk to our Action: explicit invocation and implicit invocation. Explicit one is triggered when we tell Google “Talk to {action name}”. In implicit invocation we can set up custom messages, but we will skip this option for our demo program. Basically you need to create an intent and describe possible sentences user may say.

We need to know user’s location to get information, so first of all we need to ask for this permission. Google Action has functionality to ask for location permission. We need to send specific response to DialogFlow after user started to talk to Action.

Let’s define it in welcome intent. We need to set the action name location_permission and then in our webhook we can check it. Also we need to Enable webhook call for this intent.

Let’s describe our fallback intent with default fallback message. This intent will be executed when action doesn’t understand what user wants.

Sorry, I can't help you with this right now. Please try later.. Set intent as end of conversation.

Now let’s define the main intent to get air quality. This intent will be triggered not by specific word but by reserved event: actions_intent_PERMISSION. So when user granted access to location info this intent will be executed. We set action name as get and will handle it later in API. Also we need to enable webhook call for this. And set end of conversation.

Ok, we’re almost done with configuration, let’s define how Google Action will get data.

Go to Fulfillment. There are 2 options to write a backend logic: using custom webhook or to use inline editor powered by cloud functions on Firebase, but it’s node.js so we will go with first one and provide endpoint to API deployed to Google Cloud.


You should already have Google Cloud project and gcloud SDK installed, so we can write app.yaml file to describe handlers and runtime:

runtime: go
api_version: go1

- url: /
  script: _go_app

Dialogflow will send 2 different requests to 1 endpoint: 1 for location_permission and 2 to get results.

package app

import (

func init() {
	http.HandleFunc("/", handle)

func handle(w http.ResponseWriter, r *http.Request) {
	dfReq := DialogFlowRequest{}
	dfErr := json.NewDecoder(r.Body).Decode(&dfReq)

	if dfErr == nil && dfReq.Result.Action == "location_permission" {
		handleLocationPermissionAction(w, r, dfReq)

	if dfErr == nil && dfReq.Result.Action == "get" {
		handleGetAction(w, r, dfReq)

		Speech: unknownErrMsg,

Ask for location permission

In handleLocationPermissionAction we need to send back a specific response which will tell Dialogflow to ask for DEVICE_PRECISE_LOCATION permission. We set a question message telling user why we need location.

func handleLocationPermissionAction(w http.ResponseWriter, r *http.Request, dfReq DialogFlowRequest) {
		Data: DialogFlowResponseData{
			Google: DialogFlowResponseGoogle{
				ExpectUserResponse: true,
				IsSsml:             false,
				SystemIntent: DialogFlowResponseSystemIntent{
					Intent: "actions.intent.PERMISSION",
					Data: DialogFlowResponseSystemIntentData{
						Type:        "",
						OptContext:  "To get city for air quality check",
						Permissions: []string{"DEVICE_PRECISE_LOCATION"},

Get results

When user replies that it’s ok to check location, dialogflow will send us coordinates in get action, so we can use it to check air quality index.

func handleGetAction(w http.ResponseWriter, r *http.Request, dfReq DialogFlowRequest) {
	lat := dfReq.OriginalRequest.Data.Device.Location.Coordinates.Lat
	long := dfReq.OriginalRequest.Data.Device.Location.Coordinates.Long
	if lat == 0 || long == 0 {
			Speech: unknownErrMsg,

	index, levelDescription, aqiErr := getAirQualityByCoordinates(r, lat, long)
	if aqiErr != nil {
			Speech: apiErrMsg,

		Speech: fmt.Sprintf("The air quality index in your city is %d right now. %s", index, levelDescription),

Finally, let’s deploy our app:

gcloud app deploy

If everything is fine, this command will give us endpoint which we should add in Fulfillment section.

Test it with Simulator

And now it’s time to try this nice Simulator I was talking about. Go to Integrations -> Assistant, setup welcome intent and click Test.

## Inserted here: calculated crystals
____________
[1]
Crystalline BaIrPb2 at its relaxed geometry, computed with PBE-GGA.

Results
Formation energy from the elements ... -0.17 eV/atom

a b c (Å): 8.0648 4.6607 6.8860
angles (deg): 90.00 113.04 90.00
Last column: nearest neighbours and their distance in Å.
Space group C2/m (No. 12)
One atom of each set of equivalent atoms:
1 Ba 0.0000 0.0000 0.0000 x2  6 Pb 3.48
2 Ir 0.0000 0.5000 0.5000 x2  6 Pb 2.85-2.86
3 Pb 0.2171 0.0000 0.6512 x4  3 Ir 2.85-2.86

=====

[2]
Crystalline BaIrPb2 at its relaxed geometry, computed with PBE-GGA.

Results
Formation energy from the elements ... -0.08 eV/atom

a b c (Å): 3.5526 5.8556 11.0885
angles (deg): 90.00 90.00 90.00
Last column: nearest neighbours and their distance in Å.
Space group Immm (No. 71)
One atom of each set of equivalent atoms:
1 Ba 0.0000 0.0000 0.0000 x2  4 Ir 3.42, 2 Ba 3.55, 8 Pb 3.67-3.78
2 Ir 0.0000 0.0000 0.5000 x2  4 Pb 2.83
3 Pb 0.0000 0.5000 0.1991 x4  2 Ir 2.83

=====

[3]
Crystalline Ba4IrPb at its relaxed geometry, computed with PBE-GGA.

Results
Polymorph energy (0 for the lowest one) ... 0.000 eV per atom
Formation energy from the elements ... -0.28 eV/atom

a b c (Å): 9.8831 15.0724 6.9923
angles (deg): 90.00 108.91 90.00
Last column: nearest neighbours and their distance in Å.
Space group C2/c (No. 15)
One atom of each set of equivalent atoms:
1 Ba 0.1095 0.1627 0.0465 x8  2 Ir 3.17-3.20
2 Ba 0.2133 0.4279 0.3863 x8  2 Ir 3.32-3.44, 1 Pb 3.65
3 Ir 0.0000 0.9999 0.2500 x4  8 Ba 3.17-3.44, 2 Ir 3.50
4 Pb 0.0000 0.3700 0.7500 x4  8 Ba 3.65-3.89

=====
____________
## Back to the piece

Simulator works with keyboard input and also with voice input. Currently our Action is accessible only to us, to make it public, we need to submit it for verification.

Type Talk to my test app.

  • Yes.
  • Profit!

If your Google Home device is using same Google account, you we can test it there also.

I am going to send this application for Google review, as I find this air quality information really necessary for me as I’m living in Asia.

Full code of this program on GitHub